Hi, guys.
I have a few questions about XBP modules. What type should I chose for connection between two STM8 microcontrollers? In my city I can buy
XBP24BZ7SITB003 and XBP24BZ7SIT-004 for long distance application.
I understand, that difference is in microcontroller. Shall I need to program it?
I don’t have an experience with wireless networking. So, as I understand, modules on default configured as routers. Will they work as router-to-router? Or firstly I will need to buy an interface board? In my city available DVB ZEGBEE XBIB-R/U. I’ve read datasheet “XBee®/XBee-PRO® ZB RF Modules” and understand, that this modules “transparent” for UART applications. So, couple suggestion will be helpful.
One more. What communication distance I can reach on a straight line in “metal pipe” with 10 meters diameter? What about directive antennas?
Yours is the kind of question that has to be answered with more questions
The first question is: what range do you actually need? If nodes in your network are far enough apart to need routers between them, then you do need either Digimesh modules (based on series 1 hardware) or Zigbee modules (series 2 hardware). The Zigbee modules are what you say are available to you.
If the range is such that all modules in the network can directly transmit to each other, then you can look at the 802.15.4 modules (series 1 hardware). Their big advantage is that they’re much easier to use. I understand they’re not locally available; is it possible for you to buy online?
Another question: will you be wanting to attach sensors to the modules, sampling the sensor conditions every so often or under certain conditions and then transmitting the results? If so, there are other differences between the different firmware versions.
You will need a development board, though you can build your own if you prefer. Digi publish their schematics on their site, and you can use that as a guide. Also check out the FAQ (see pinned posts at the top of the forum) - it discusses what connections you need.
As for the metal pipe, I’m afraid I have no idea - perhaps others can chime in. That’s an awfully big pipe! Does it have trains running in it, or what?
Directional antennas are available for some models, though again I’m no expert there.
If you can give us more details about what you’re trying to achieve, it’d be very helpful.
Thanks for the answer, Johnf.
What I’m trying to achieve is:
I need range near 900 meters on a straight line in workshop. That’s why I’m wrote “metal pipe” - it has near 10*10m dimensions and a lot of metalware there. About walls and roof I can say, that they “screen” all frequencies higher then 2GHz (and, therefore reflect them).
I need both-sided transmission rate 1kBs and higher with guaranty of delivery between two points: sensor (with digital base and almost any interface on it’s output) and black box, that “make a decision”.
That is all.
Why I looked on ZigBee standart at 2.4 GHz? Couple of reasons.
First off all there is a lot of electric drives there with total power near 10MW. All they working asynchronously and making a lot of noise in range 1kHz to 160MHz. I can’t use LPD or PMR ranges because they overload in this area. The next thing - in my country license-free mostly powerful range is 2400-2483 MHz (500mW). I choose this XBP24BZ7 because they mostly powerful from all product line with 63mW output power, that purchasable in Ukraine. I’ ve explore some electromagnetic theory issues and found, that there is a big attenuation of signal propagating along metal wall.
That why I’ve asked about directive antennas.
Anyway, like you sad, I want two modules that could directly transmit to each other.
Could I reach this distances with two XBP24BZ7 modules?
I’ve found Robert Falude’s book and a “Cookbook” but while I’ll do this homework I whant to order modules.
/*
Starting from a crystal structure in Alexandria, relaxed with PBE, the powder diffractogram of LiNi2Cl6 was computed for Cu Kα (weighted mean of Kα1 and Kα2).
No peak broadening, texture or thermal motion is included.

Crystal structure
a b c (Å): 6.5617 6.5617 10.1850
angles (deg): 117.18 117.18 31.09
Element x y z (fractional)
Li (0.0000, 0.0000, 0.0000)
Ni (0.3381, 0.3381, 0.6666)
Ni (0.6619, 0.6619, 0.3334)
Cl (0.0211, 0.0211, 0.2627)
Cl (0.3137, 0.3137, 0.4264)
Cl (0.3400, 0.3400, 0.8873)
Cl (0.6600, 0.6600, 0.1127)
Cl (0.6863, 0.6863, 0.5736)
Cl (0.9789, 0.9789, 0.7373)

Most intense lines, 2θ from 5° to 70°, low angle first:
9.86 deg, I 33.5; 14.20 deg, I 100.0; 29.74 deg, I 14.1; 35.16 deg, I 63.7; 35.37 deg, I 27.7; 45.12 deg, I 18.3; 49.16 deg, I 25.4; 52.22 deg, I 16.8



Starting from a crystal structure in Alexandria, relaxed with PBE, the powder diffractogram of Li6NiCl8 was computed for Cu Kα (weighted mean of Kα1 and Kα2).
No peak broadening, texture or thermal motion is included.

Crystal structure
a b c (Å): 7.2548 7.2548 7.2548
angles (deg): 60.00 60.00 60.00
Element x y z (fractional)
Li (0.0000, 0.0000, 0.5000)
Li (0.0000, 0.5000, 0.0000)
Li (0.0000, 0.5000, 0.5000)
Li (0.5000, 0.0000, 0.0000)
Li (0.5000, 0.0000, 0.5000)
Li (0.5000, 0.5000, 0.0000)
Ni (0.0000, 0.0000, 0.0000)
Cl (0.2357, 0.2357, 0.7643)
Cl (0.2357, 0.7643, 0.2357)
Cl (0.2357, 0.7643, 0.7643)
Cl (0.2500, 0.2500, 0.2500)
Cl (0.7500, 0.7500, 0.7500)
Cl (0.7643, 0.2357, 0.2357)
Cl (0.7643, 0.2357, 0.7643)
Cl (0.7643, 0.7643, 0.2357)

Most intense lines, 2θ from 5° to 70°, low angle first:
14.96 deg, I 58.0; 28.86 deg, I 16.6; 30.17 deg, I 51.8; 34.98 deg, I 100.0; 45.96 deg, I 14.6; 50.31 deg, I 61.3; 59.79 deg, I 13.6; 62.74 deg, I 19.3



Starting from a crystal structure in Alexandria, relaxed with PBE, the powder diffractogram of LiTl2NiCl5 was computed for Cu Kα (weighted mean of Kα1 and Kα2).
No peak broadening, texture or thermal motion is included.

Crystal structure
a b c (Å): 9.7337 9.7337 13.1803
angles (deg): 90.00 90.00 156.54
Element x y z (fractional)
Li (0.2158, 0.7842, 0.5000)
Li (0.7842, 0.2158, 0.0000)
Tl (0.1325, 0.8675, 0.7827)
Tl (0.1341, 0.8659, 0.1450)
Tl (0.8659, 0.1341, 0.6450)
Tl (0.8675, 0.1325, 0.2827)
Ni (0.4333, 0.5667, 0.9024)
Ni (0.5667, 0.4333, 0.4024)
Cl (0.0489, 0.9511, 0.4814)
Cl (0.2956, 0.7044, 0.1171)
Cl (0.3203, 0.6797, 0.8546)
Cl (0.3400, 0.6600, 0.4679)
Cl (0.4950, 0.5050, 0.7591)
Cl (0.5050, 0.4950, 0.2591)
Cl (0.6600, 0.3400, 0.9679)
Cl (0.6797, 0.3203, 0.3546)
Cl (0.7044, 0.2956, 0.6171)
Cl (0.9511, 0.0489, 0.9814)

Most intense lines, 2θ from 5° to 70°, low angle first:
18.62 deg, I 75.6; 22.28 deg, I 100.0; 23.00 deg, I 46.7; 29.85 deg, I 59.3; 30.77 deg, I 98.2; 35.36 deg, I 52.6; 38.67 deg, I 48.6; 40.22 deg, I 44.7



Starting from a crystal structure in Alexandria, relaxed with PBE, the powder diffractogram of Li3NpCl6 was computed for Cu Kα (weighted mean of Kα1 and Kα2).
*/
**The data records stop here**
In further fault-tolerant applications I’d like to have real nodes, doubling each other, and couple of routers, some-kind of backup of hardware.
But now I steel a dummy in newest radio communication devices, such as 802.15.4.
One remark: XBees on their own will not give you guaranteed delivery of packets. If transmission fails, through interference or other reasons, they will retry several times and then if the retries fail they will give up. So to get guaranteed delivery you need to implement your own end-to-end protocol. Even then, if interference is heavy and sustained, nothing will get through.
As for the rest of the requirements, I’d suggest that you put in a support request to the knowledgeable folks at Digi Support. I reckon your situation is so specialised that they’re the best ones to give advice - certainly in this sort of situation there’s nothing in my experience that would help you. They, on the other hand, have a lot of experience of different kinds of installation. If you refer to this thread, they’ll see that you “did your homework” first
Worstcase you’d need to make use ZB’s mesh/router feature and use 1 or 2 ‘repeaters’ along the 900M length. You certainly will want the external antenna, so XBP24BZ7SIT-004. The other “SITB003” would only be of use if youwanted to use the second freescale HC08 processor on board. The RADIO would be the same power/function on both.
Repeaters are nothing special - they can be nothing more than an Xbee with 3.3vdc power and router firmware. or they could be the same STM8 design.
To minimize interference, you can use high-gain directional “Yagi” antennas or even patch (circular polarization) antennas. Using either of these, you can operate the radio at a lower power and get great performance. I would recommend this style of antenna even with a 2.4GHz radio.
If you have Wi-Fi in the building, you could utilize two of our new Wi-Fi XBees. These would piggyback onto the existing Ethernet network. However, I cannot guarantee they are available in your country since they are newer radios.
Finally, if you do not mind having multiple radios in the building, you could utilize either Digimesh or ZigBee radios. Start with two radios, and if you cannot get the range needed, add additional radios to act as range extenders. Between the two, Digimesh is significantly easier to work with."